[1]
Compound: Ni3Mo
Source: the Alexandria database
Functional: meta-GGA SCAN
Structure: PBEsol geometry

Cell: 2.5744 4.3674 4.8299 Å, 116.88 105.46 90.00°
Closest atoms and distances in Å follow each position.
Fractional positions:
Ni1 0.2451 0.9040 0.4903  9 Ni 2.48-2.58, 3 Mo 2.53-2.54
Ni2 0.5000 0.5049 0.0000  8 Ni 2.48-2.58, 4 Mo 2.51-2.56
Ni3 0.7549 0.4137 0.5097  9 Ni 2.48-2.58, 3 Mo 2.53-2.54
Mo1 0.0000 0.0107 0.0000  10 Ni 2.51-2.56, 2 Mo 2.57

M_tot = 0.000 μB/atom
Crystal system = orthorhombic
Mass density = 9.77 g/cm³
Total DFT energy (no corrections) = -20.727 eV per atom

---

[2]
Compound: K2Sr
Source: the Alexandria database
Functional: meta-GGA SCAN
Structure: PBEsol geometry

Cell: 4.3354 8.6201 10.8056 Å, 105.56 90.17 104.33°
Closest atoms and distances in Å follow each position.
Fractional positions:
K1 0.9977 0.9935 0.9921  8 K 4.34-4.55, 4 Sr 4.41-4.53
K2 0.3909 0.7823 0.2815  8 K 4.34-4.55, 4 Sr 4.56-4.57
K3 0.3331 0.6660 0.6654  7 K 4.34-4.52, 5 Sr 4.40-4.55
Sr1 0.7181 0.4358 0.9379  4 Sr 4.23-4.34, 8 K 4.45-4.58
Sr2 0.0636 0.1270 0.6251  4 Sr 4.23-4.34, 8 K 4.40-4.57
K4 0.6635 0.3288 0.3313  9 K 4.34-4.53, 3 Sr 4.53-4.58

M_tot = 0.017 μB/atom
Crystal system = triclinic
Mass density = 1.47 g/cm³
Total DFT energy (no corrections) = -12.889 eV per atom

---

[3]
Compound: Y2CdO2
Source: the Alexandria database
Functional: meta-GGA SCAN
Structure: PBEsol geometry

Cell: 3.9520 3.9520 6.4819 Å, 107.75 107.75 90.00°
Closest atoms and distances in Å follow each position.
Fractional positions:
O1 0.2500 0.7500 0.5000  4 Y 2.23
O2 0.7500 0.2500 0.5000  4 Y 2.23
Y1 0.6609 0.6609 0.3218  4 O 2.23
Y2 0.3391 0.3391 0.6782  4 O 2.23
Cd1 0.0000 0.0000 0.0000  8 Y 3.37, 8 O 3.53

M_tot = 0.000 μB/atom
Crystal system = tetragonal
Mass density = 5.86 g/cm³
Total DFT energy (no corrections) = -22.414 eV per atom
Formation energy (no corrections) = -2.70 eV/atom

---

[4]
Compound: TiNiSbAs2
Source: the Alexandria database
Functional: meta-GGA SCAN
Structure: PBEsol geometry

Cell: 4.4946 4.8016 4.8016 Å, 90.00 90.00 90.00°
Closest atoms and distances in Å follow each position.
Fractional positions:
Ni1 0.5000 0.0000 0.0000  2 Ti 2.25
As1 0.0000 0.0000 0.5000  2 Ti 2.40
As2 0.0000 0.5000 0.0000  2 Ti 2.40
Sb1 0.5000 0.5000 0.5000  8 As 3.29, 4 Ni 3.40
Ti1 0.0000 0.0000 0.0000  2 Ni 2.25, 4 As 2.40

M_tot = 0.000 μB/atom
Crystal system = tetragonal
Mass density = 6.06 g/cm³
Total DFT energy (no corrections) = -21.456 eV per atom
Formation energy (no corrections) = 0.51 eV/atom

---

[5]
Compound: Sr3HgH
Source: the Alexandria database
Functional: meta-GGA SCAN
Structure: PBEsol geometry

Cell: 5.2412 5.2412 5.2412 Å, 90.00 90.00 90.00°
Closest atoms and distances in Å follow each position.
Fractional positions:
Sr1 0.0000 0.0000 0.5000  2 H 2.62
H1 0.0000 0.0000 0.0000  6 Sr 2.62
Hg1 0.5000 0.5000 0.5000  12 Sr 3.71
Sr2 0.5000 0.0000 0.0000  2 H 2.62
Sr3 0.0000 0.5000 0.0000  2 H 2.62

M_tot = 0.002 μB/atom
Crystal system = cubic
Mass density = 5.36 g/cm³
Total DFT energy (no corrections) = -28.026 eV per atom

---

[6]
Compound: Ta2CoPt
Source: the Alexandria database
Functional: meta-GGA SCAN
Structure: PBEsol geometry

Cell: 2.7720 2.7720 7.6737 Å, 90.00 90.00 90.00°
Closest atoms and distances in Å follow each position.
Fractional positions:
Ta1 0.0000 0.0000 0.2307  4 Co 2.64, 4 Ta 2.77, 4 Pt 2.85
Ta2 0.0000 0.0000 0.7693  4 Co 2.64, 4 Ta 2.77, 4 Pt 2.85
Pt1 0.5000 0.5000 0.5000  4 Pt 2.77, 8 Ta 2.85
Co1 0.5000 0.5000 0.0000  8 Ta 2.64, 4 Co 2.77

M_tot = 0.089 μB/atom
Crystal system = tetragonal
Mass density = 17.34 g/cm³
Total DFT energy (no corrections) = -55.586 eV per atom

=====

1.
# NdHoCo2Si4

NdHoCo2Si4 after structural relaxation (GGA-PBE, OQMD).

Geometry as POSCAR:
```
NdHoCo2Si4
1.0
3.9904 0.0000 0.0000
0.0000 2.0334 8.1451
0.0000 -2.0334 8.1451
Nd Ho Co Si
1 1 2 4
direct
0.0000 0.0000 0.0000 Nd
0.5000 0.7847 0.7847 Ho
0.0000 0.2143 0.2143 Co
0.5000 0.5737 0.5737 Co
0.0000 0.3490 0.3490 Si
The reader should echo everything above unchanged.
[1]
Compound: Ni3Mo
Source: the Alexandria database
Functional: meta-GGA SCAN
Structure: PBEsol geometry

Cell: 2.5744 4.3674 4.8299 Å, 116.88 105.46 90.00°
Closest atoms and distances in Å follow each position.
Fractional positions:
Ni1 0.2451 0.9040 0.4903  9 Ni 2.48-2.58, 3 Mo 2.53-2.54
Ni2 0.5000 0.5049 0.0000  8 Ni 2.48-2.58, 4 Mo 2.51-2.56
Ni3 0.7549 0.4137 0.5097  9 Ni 2.48-2.58, 3 Mo 2.53-2.54
Mo1 0.0000 0.0107 0.0000  10 Ni 2.51-2.56, 2 Mo 2.57

M_tot = 0.000 μB/atom
Crystal system = orthorhombic
Mass density = 9.77 g/cm³
Total DFT energy (no corrections) = -20.727 eV per atom

---

[2]
Compound: K2Sr
Source: the Alexandria database
Functional: meta-GGA SCAN
Structure: PBEsol geometry

Cell: 4.3354 8.6201 10.8056 Å, 105.56 90.17 104.33°
Closest atoms and distances in Å follow each position.
Fractional positions:
K1 0.9977 0.9935 0.9921  8 K 4.34-4.55, 4 Sr 4.41-4.53
K2 0.3909 0.7823 0.2815  8 K 4.34-4.55, 4 Sr 4.56-4.57
K3 0.3331 0.6660 0.6654  7 K 4.34-4.52, 5 Sr 4.40-4.55
Sr1 0.7181 0.4358 0.9379  4 Sr 4.23-4.34, 8 K 4.45-4.58
Sr2 0.0636 0.1270 0.6251  4 Sr 4.23-4.34, 8 K 4.40-4.57
K4 0.6635 0.3288 0.3313  9 K 4.34-4.53, 3 Sr 4.53-4.58

M_tot = 0.017 μB/atom
Crystal system = triclinic
Mass density = 1.47 g/cm³
Total DFT energy (no corrections) = -12.889 eV per atom

---

[3]
Compound: Y2CdO2
Source: the Alexandria database
Functional: meta-GGA SCAN
Structure: PBEsol geometry

Cell: 3.9520 3.9520 6.4819 Å, 107.75 107.75 90.00°
Closest atoms and distances in Å follow each position.
Fractional positions:
O1 0.2500 0.7500 0.5000  4 Y 2.23
O2 0.7500 0.2500 0.5000  4 Y 2.23
Y1 0.6609 0.6609 0.3218  4 O 2.23
Y2 0.3391 0.3391 0.6782  4 O 2.23
Cd1 0.0000 0.0000 0.0000  8 Y 3.37, 8 O 3.53

M_tot = 0.000 μB/atom
Crystal system = tetragonal
Mass density = 5.86 g/cm³
Total DFT energy (no corrections) = -22.414 eV per atom
Formation energy (no corrections) = -2.70 eV/atom

---

[4]
Compound: TiNiSbAs2
Source: the Alexandria database
Functional: meta-GGA SCAN
Structure: PBEsol geometry

Cell: 4.4946 4.8016 4.8016 Å, 90.00 90.00 90.00°
Closest atoms and distances in Å follow each position.
Fractional positions:
Ni1 0.5000 0.0000 0.0000  2 Ti 2.25
As1 0.0000 0.0000 0.5000  2 Ti 2.40
As2 0.0000 0.5000 0.0000  2 Ti 2.40
Sb1 0.5000 0.5000 0.5000  8 As 3.29, 4 Ni 3.40
Ti1 0.0000 0.0000 0.0000  2 Ni 2.25, 4 As 2.40

M_tot = 0.000 μB/atom
Crystal system = tetragonal
Mass density = 6.06 g/cm³
Total DFT energy (no corrections) = -21.456 eV per atom
Formation energy (no corrections) = 0.51 eV/atom

---

[5]
Compound: Sr3HgH
Source: the Alexandria database
Functional: meta-GGA SCAN
Structure: PBEsol geometry

Cell: 5.2412 5.2412 5.2412 Å, 90.00 90.00 90.00°
Closest atoms and distances in Å follow each position.
Fractional positions:
Sr1 0.0000 0.0000 0.5000  2 H 2.62
H1 0.0000 0.0000 0.0000  6 Sr 2.62
Hg1 0.5000 0.5000 0.5000  12 Sr 3.71
Sr2 0.5000 0.0000 0.0000  2 H 2.62
Sr3 0.0000 0.5000 0.0000  2 H 2.62

M_tot = 0.002 μB/atom
Crystal system = cubic
Mass density = 5.36 g/cm³
Total DFT energy (no corrections) = -28.026 eV per atom

---

[6]
Compound: Ta2CoPt
Source: the Alexandria database
Functional: meta-GGA SCAN
Structure: PBEsol geometry

Cell: 2.7720 2.7720 7.6737 Å, 90.00 90.00 90.00°
Closest atoms and distances in Å follow each position.
Fractional positions:
Ta1 0.0000 0.0000 0.2307  4 Co 2.64, 4 Ta 2.77, 4 Pt 2.85
Ta2 0.0000 0.0000 0.7693  4 Co 2.64, 4 Ta 2.77, 4 Pt 2.85
Pt1 0.5000 0.5000 0.5000  4 Pt 2.77, 8 Ta 2.85
Co1 0.5000 0.5000 0.0000  8 Ta 2.64, 4 Co 2.77

M_tot = 0.089 μB/atom
Crystal system = tetragonal
Mass density = 17.34 g/cm³
Total DFT energy (no corrections) = -55.586 eV per atom

=====

1.
# NdHoCo2Si4

NdHoCo2Si4 after structural relaxation (GGA-PBE, OQMD).

Geometry as POSCAR:
```
NdHoCo2Si4
1.0
3.9904 0.0000 0.0000
0.0000 2.0334 8.1451
0.0000 -2.0334 8.1451
Nd Ho Co Si
1 1 2 4
direct
0.0000 0.0000 0.0000 Nd
0.5000 0.7847 0.7847 Ho
0.0000 0.2143 0.2143 Co
0.5000 0.5737 0.5737 Co
0.0000 0.3490 0.3490 Si